-- Assignment --
Please find the line below that holds "4.1650 -4.1239", then restate that line and all lines after it there.
-- Excerpt --
____________
Below is crystalline Fe2Te3O12 at its relaxed geometry, with properties calculated at the PBE with a Hubbard U level.

Cell and atoms, written as POSCAR:
```
Fe2Te3O12
1.0
-3.9662 -1.8348 -5.2250
-5.1369 -1.2372 6.9255
1.3746 10.1701 -1.3427
O Te Fe
24 6 4
Cartesian
-3.7612 3.7711 -2.8986 O
-2.1541 6.2407 -2.2384 O
-3.9403 -1.3431 -2.6749 O
-7.3682 5.8614 0.5711 O
-5.2906 7.8831 0.6217 O
-2.4380 -0.7851 -0.2639 O
-6.8454 3.4871 2.4295 O
-5.1537 5.8377 2.6908 O
-5.7955 3.5335 -0.4937 O
-2.7714 0.9270 1.8814 O
-2.5749 1.2604 -2.3330 O
0.3192 6.2872 -1.3782 O
-5.1746 0.6170 -0.7281 O
-3.9673 3.3269 3.2564 O
-2.5540 6.4811 1.0859 O
-3.5294 0.6607 4.8042 O
-8.0478 0.8109 1.7360 O
-0.8831 3.6109 -2.0717 O
-4.1991 6.4373 -4.4464 O
-5.5744 0.8573 2.5962 O
-3.7883 8.4412 3.0328 O
-1.9331 3.5646 0.8515 O
-0.3604 1.2366 -0.2133 O
-4.9572 6.1711 -1.5236 O
-3.9335 1.4772 3.1880 Te
-7.1263 3.9838 0.6167 Te
-3.7951 5.6208 -2.8302 Te
-4.0952 7.0898 1.7944 Te
-3.6333 0.0082 -1.4366 Te
-0.6023 3.1142 -0.2589 Te
-2.1607 2.7122 -3.5100 Fe
-5.5679 4.3859 3.8679 Fe
-1.2483 -0.1678 1.2048 Fe
-6.4802 7.2659 -0.8470 Fe
```

Output
Space group: No. 2
Size of the total moment in μB per cell: 20.003
Energy in eV per atom: -5.58
MP2020-corrected energy in eV per atom: -6.33
E_form in eV per formula unit: -21.93
Mass density in g cm⁻³: 4.29

* * * * *

(1)
Here is a geometry-optimized NdZrO3 structure from Materials Project. Energies are from PBE. Values from VASP.

The structure in Quantum ESPRESSO input format:
```
&SYSTEM
  ibrav = 0, nat = 10, ntyp = 3
/
ATOMIC_SPECIES
Nd 144.24 Nd.upf
Zr 91.22 Zr.upf
O 16.00 O.upf
CELL_PARAMETERS angstrom
4.1650 -4.1239 0.0000
4.1650 4.1239 0.0000
-3.7923 0.0000 4.1627
ATOMIC_POSITIONS angstrom
Nd 1.9144 0.0000 0.1302
Nd 2.6232 0.0000 4.0325
Zr 0.1863 2.0620 2.0813
Zr 0.1863 -2.0620 2.0813
O 4.1650 2.6389 0.0000
O -0.2824 0.0000 2.5429
O 2.2688 1.4683 2.0813
O 2.2688 -1.4683 2.0813
O 4.8200 0.0000 1.6197
O 4.1650 -2.6389 0.0000
```

Properties
VASP energy = -8.669 eV per atom
ΔH_f (0 K) = -3.450 eV/atom

(2)
Here is a geometry-optimized Ti3Rh5 structure from Materials Project. Energies are from PBE. Values from VASP.

The structure in Quantum ESPRESSO input format:
```
&SYSTEM
  ibrav = 0, nat = 16, ntyp = 2
/
ATOMIC_SPECIES
Ti 47.87 Ti.upf
Rh 102.91 Rh.upf
CELL_PARAMETERS angstrom
5.4238 0.0000 0.0000
0.0000 10.5292 0.0000
0.0000 0.0000 4.1324
ATOMIC_POSITIONS angstrom
Ti 0.0000 0.0000 0.0000
Ti 0.8690 3.7511 2.0662
Ti 1.8429 9.0158 2.0662
Ti 2.7119 5.2646 0.0000
Ti 3.5809 1.5135 2.0662
Ti 4.5548 6.7781 2.0662
Rh 0.0000 5.2646 0.0000
Rh 0.5586 8.0441 0.0000
Rh 1.0103 1.1278 2.0662
Rh 1.7016 6.3924 2.0662
Rh 2.1533 2.7795 0.0000
Rh 2.7119 0.0000 0.0000
Rh 3.2705 7.7497 0.0000
Rh 3.7222 4.1368 2.0662
Rh 4.4135 9.4014 2.0662
Rh 4.8652 2.4851 0.0000
```

Properties
VASP energy = -8.339 eV per atom
ΔH_f (0 K) = -0.776 eV/atom

(3)
Here is a geometry-optimized P4S9 structure from Materials Project. Energies are from PBE. Values from VASP.

The structure in Quantum ESPRESSO input format:
```
&SYSTEM
  ibrav = 0, nat = 52, ntyp = 2
/
ATOMIC_SPECIES
P 30.97 P.upf
S 32.06 S.upf
CELL_PARAMETERS angstrom
9.2253 0.0000 0.0000
0.0000 13.6579 0.0000
-5.7356 0.0000 12.8065
ATOMIC_POSITIONS angstrom
P -2.6274 3.2564 6.2954
P -5.4952 3.5726 12.6986
P -3.1976 1.3250 11.3728
P -0.3298 5.5040 4.9696
P 2.0495 1.4864 1.9985
P -0.8183 5.3426 8.4017
P 0.7895 2.7080 6.7543
P 3.6573 4.1210 0.3511
P -0.1676 9.5369 12.4554
P 2.7002 10.9499 6.0521
P 4.3080 8.3153 4.4047
P 1.4402 12.1715 10.8079
P 3.8195 8.1540 7.8369
P 6.6873 12.3329 1.4336
P 8.9849 10.0853 0.1078
P 6.1171 10.4016 6.5111
S -3.5362 9.1124 8.1395
S -0.6684 11.3745 1.7363
S 0.1787 2.4335 1.6768
S -2.6891 4.3955 8.0801
S -2.8549 0.1391 9.9025
S 0.0129 6.6898 3.4992
S 1.4818 9.2692 0.3852
S -1.3860 11.2177 6.7884
S -1.1136 1.8043 6.4373
S 1.7542 5.0246 0.0341
S 2.4643 0.2024 0.3654
S -0.4035 6.6266 6.7686
S -1.6938 2.7850 11.5431
S 1.1740 4.0439 5.1398
S 1.9401 0.4366 3.6111
____________
-- Completed --
4.1650 -4.1239 0.0000
4.1650 4.1239 0.0000
-3.7923 0.0000 4.1627
ATOMIC_POSITIONS angstrom
Nd 1.9144 0.0000 0.1302
Nd 2.6232 0.0000 4.0325
Zr 0.1863 2.0620 2.0813
Zr 0.1863 -2.0620 2.0813
O 4.1650 2.6389 0.0000
O -0.2824 0.0000 2.5429
O 2.2688 1.4683 2.0813
O 2.2688 -1.4683 2.0813
O 4.8200 0.0000 1.6197
O 4.1650 -2.6389 0.0000
```

Properties
VASP energy = -8.669 eV per atom
ΔH_f (0 K) = -3.450 eV/atom

(2)
Here is a geometry-optimized Ti3Rh5 structure from Materials Project. Energies are from PBE. Values from VASP.

The structure in Quantum ESPRESSO input format:
```
&SYSTEM
  ibrav = 0, nat = 16, ntyp = 2
/
ATOMIC_SPECIES
Ti 47.87 Ti.upf
Rh 102.91 Rh.upf
CELL_PARAMETERS angstrom
5.4238 0.0000 0.0000
0.0000 10.5292 0.0000
0.0000 0.0000 4.1324
ATOMIC_POSITIONS angstrom
Ti 0.0000 0.0000 0.0000
Ti 0.8690 3.7511 2.0662
Ti 1.8429 9.0158 2.0662
Ti 2.7119 5.2646 0.0000
Ti 3.5809 1.5135 2.0662
Ti 4.5548 6.7781 2.0662
Rh 0.0000 5.2646 0.0000
Rh 0.5586 8.0441 0.0000
Rh 1.0103 1.1278 2.0662
Rh 1.7016 6.3924 2.0662
Rh 2.1533 2.7795 0.0000
Rh 2.7119 0.0000 0.0000
Rh 3.2705 7.7497 0.0000
Rh 3.7222 4.1368 2.0662
Rh 4.4135 9.4014 2.0662
Rh 4.8652 2.4851 0.0000
```

Properties
VASP energy = -8.339 eV per atom
ΔH_f (0 K) = -0.776 eV/atom

(3)
Here is a geometry-optimized P4S9 structure from Materials Project. Energies are from PBE. Values from VASP.

The structure in Quantum ESPRESSO input format:
```
&SYSTEM
  ibrav = 0, nat = 52, ntyp = 2
/
ATOMIC_SPECIES
P 30.97 P.upf
S 32.06 S.upf
CELL_PARAMETERS angstrom
9.2253 0.0000 0.0000
0.0000 13.6579 0.0000
-5.7356 0.0000 12.8065
ATOMIC_POSITIONS angstrom
P -2.6274 3.2564 6.2954
P -5.4952 3.5726 12.6986
P -3.1976 1.3250 11.3728
P -0.3298 5.5040 4.9696
P 2.0495 1.4864 1.9985
P -0.8183 5.3426 8.4017
P 0.7895 2.7080 6.7543
P 3.6573 4.1210 0.3511
P -0.1676 9.5369 12.4554
P 2.7002 10.9499 6.0521
P 4.3080 8.3153 4.4047
P 1.4402 12.1715 10.8079
P 3.8195 8.1540 7.8369
P 6.6873 12.3329 1.4336
P 8.9849 10.0853 0.1078
P 6.1171 10.4016 6.5111
S -3.5362 9.1124 8.1395
S -0.6684 11.3745 1.7363
S 0.1787 2.4335 1.6768
S -2.6891 4.3955 8.0801
S -2.8549 0.1391 9.9025
S 0.0129 6.6898 3.4992
S 1.4818 9.2692 0.3852
S -1.3860 11.2177 6.7884
S -1.1136 1.8043 6.4373
S 1.7542 5.0246 0.0341
S 2.4643 0.2024 0.3654
S -0.4035 6.6266 6.7686
S -1.6938 2.7850 11.5431
S 1.1740 4.0439 5.1398
S 1.9401 0.4366 3.6111